File >
........
# C5H13NO

2 unconnected molecules or ions with the total composition C5H13NO (ωB97M-V/def2-TZVPD, the OMol25 dataset).

Cartesian coordinates (Å):
C  0.81787  1.71866  2.19046
C  1.98576  2.42802  1.52794
C  1.01860  0.22336  2.36546
H  0.59200  2.18691  3.15240
H  -0.11003  1.84821  1.63287
H  2.18682  2.09756  0.50680
H  1.08270  -0.25797  1.39628
H  1.89131  -0.07201  2.94582
H  0.16880  -0.19613  2.92472
H  1.84865  3.51295  1.49627
H  2.87878  2.26264  2.12309
C  -1.88753  -1.05425  -0.54020
C  -1.08163  -1.21796  -1.81083
O  -1.59714  -1.40372  -2.90197
N  0.24810  -1.04530  -1.68445
H  -1.64947  -1.82886  0.20496
H  -2.94198  -1.11495  -0.80434
H  0.76078  -1.13196  -2.54934
H  0.71649  -1.18084  -0.79675
H  -1.69571  -0.11709  -0.03877

2S+1: 2
Energy, eV: -8932.27047
Total charge: -1

Quick look at the Mulliken charges, all values in e:
1 C -1.637
2 C -1.041
3 C -0.984
4 H 0.743
5 H -0.014
6 H 0.290
7 H 0.310
8 H 0.469
9 H 0.323
10 H 0.571
11 H 0.335
12 C -1.014
13 C 0.357
14 O -0.658
15 N -0.482
16 H 0.222
17 H 0.480
18 H 0.345
19 H 0.335
20 H 0.049

=====

# C14H22FNO4S

A single C14H22FNO4S molecule in a non-equilibrium geometry (ωB97M-V/def2-TZVPD, the OMol25 dataset).

Cartesian coordinates (Å):
F  5.36107  -0.00586  1.64248
S  3.97861  0.79336  1.52604
C  2.94258  -0.44966  0.79910
C  2.13044  -0.36897  -0.39535
O  3.63421  1.13587  2.88200
O  4.22006  1.89077  0.62284
H  3.18206  -1.41264  1.32894
H  2.77059  -1.11367  -0.97978
H  2.19895  0.66377  -0.71776
C  0.11058  -1.64930  3.46775
O  0.04672  -0.41289  2.75156
C  -1.00379  -0.28004  1.91030
O  -1.82306  -1.13112  1.71112
C  -0.95178  1.05486  1.17585
C  -2.02233  2.01960  1.70577
C  -3.15651  2.03134  0.65721
C  -2.52876  1.48001  -0.64785
N  -1.27443  0.88750  -0.24174
C  -0.46980  0.31630  -1.11046
C  0.70477  -0.64200  -0.56623
C  0.60318  -1.85535  -1.48197
C  0.18170  -1.72091  -3.00209
C  -0.12968  -0.28143  -3.53293
C  -1.02485  0.40503  -2.51064
H  0.94486  -1.51652  4.15851
H  -0.81576  -1.82479  4.02142
H  0.31420  -2.49208  2.79603
H  0.06712  1.43584  1.31027
H  -2.36372  1.74598  2.71265
H  -1.55817  3.01626  1.73723
H  -4.00346  1.38215  0.96006
H  -3.54180  3.05349  0.46546
H  -3.20767  0.75662  -1.12451
H  -2.37847  2.31055  -1.35309
H  0.28114  -1.01714  0.32679
H  1.58647  -2.30523  -1.49428
H  -0.07019  -2.61204  -1.04858
H  0.92510  -2.18238  -3.70393
H  -0.75961  -2.31892  -3.09444
H  0.79406  0.29967  -3.74052
H  -0.65915  -0.37170  -4.50416
H  -1.98541  -0.15031  -2.55741
H  -1.25008  1.43601  -2.86167

Energy, eV: -38102.80310
Total charge: 0

Quick look at the Mulliken charges, all values in e:
1 F -0.264
2 S 1.105
3 C -1.239
4 C 0.042
5 O -0.637
6 O -0.661
7 H 0.227
8 H 0.016
9 H 0.345
10 C -0.711
11 O -0.131
12 C -0.214
13 O -0.577
14 C 0.446
15 C -0.803
16 C -0.639
17 C -0.608
18 N 0.152
19 C 0.466
20 C 1.595
21 C -1.308
22 C -0.634
23 C -1.051
24 C -0.639
25 H 0.245
26 H 0.324
27 H 0.281
28 H 0.313
29 H 0.346
30 H 0.408
31 H 0.287
32 H 0.351
33 H 0.288
34 H 0.359
35 H -0.451
36 H 0.390
37 H 0.393
38 H 0.321
39 H 0.260
40 H 0.404
41 H 0.421
42 H 0.350
43 H 0.432

=====

# C5H12N2

A single C5H12N2 molecule in a non-equilibrium geometry (ωB97M-V/def2-TZVPD, the OMol25 dataset).

Cartesian coordinates (Å):
C  -2.06793  0.31884  -0.70930
C  -1.15322  -0.57648  -0.30614
N  -1.50968  -1.71737  0.45124
C  0.29182  -0.51554  -0.74338
C  1.15511  0.29411  0.24139
C  0.51422  1.34741  1.13916
N  2.40194  0.75657  -0.38375
H  -2.99344  0.52003  -0.19604
H  -1.79401  0.94271  -1.54236
H  -2.31795  -1.57949  1.04247
H  -0.69630  -2.01952  0.97712
H  0.62602  -1.53857  -0.88199
H  0.24734  0.11206  -1.63252
H  1.53838  -0.45028  0.96046
H  1.24115  1.55655  1.92202
H  -0.39881  0.99369  1.61546
H  0.29525  2.26389  0.58886
H  2.33846  0.83984  -1.36409
H  3.21991  0.31779  -0.01207

Energy, eV: -8358.86542
Total charge: 0

Quick look at the Mulliken charges, all values in e:
1 C -0.954
2 C 0.540
3 N -0.554
4 C -1.056
5 C 0.539
6 C -1.251
........

Job >
Start at the top of the data above and return each line, ending with the one that has "-1.637".

Written answer >
# C5H13NO

2 unconnected molecules or ions with the total composition C5H13NO (ωB97M-V/def2-TZVPD, the OMol25 dataset).

Cartesian coordinates (Å):
C  0.81787  1.71866  2.19046
C  1.98576  2.42802  1.52794
C  1.01860  0.22336  2.36546
H  0.59200  2.18691  3.15240
H  -0.11003  1.84821  1.63287
H  2.18682  2.09756  0.50680
H  1.08270  -0.25797  1.39628
H  1.89131  -0.07201  2.94582
H  0.16880  -0.19613  2.92472
H  1.84865  3.51295  1.49627
H  2.87878  2.26264  2.12309
C  -1.88753  -1.05425  -0.54020
C  -1.08163  -1.21796  -1.81083
O  -1.59714  -1.40372  -2.90197
N  0.24810  -1.04530  -1.68445
H  -1.64947  -1.82886  0.20496
H  -2.94198  -1.11495  -0.80434
H  0.76078  -1.13196  -2.54934
H  0.71649  -1.18084  -0.79675
H  -1.69571  -0.11709  -0.03877

2S+1: 2
Energy, eV: -8932.27047
Total charge: -1

Quick look at the Mulliken charges, all values in e:
1 C -1.637